📜  arrow.get(null) - Python (1)

📅  最后修改于: 2023-12-03 14:39:21.308000             🧑  作者: Mango

Introduction to arrow.get(null) - Python

The arrow.get(null) method in Python, provided by the Arrow library, allows programmers to work with date and time in a more intuitive and efficient way. It provides a simplified interface for parsing, formatting, and manipulating dates and times.


Before using arrow.get(null), you need to install the Arrow library. You can do this by running the following command:

pip install arrow

To use arrow.get(null), you first need to import the Arrow library in your Python script:

import arrow
Parsing a Null Date

The arrow.get(null) method is used to parse a null date. A null date is often represented by None or an empty string. The method returns an Arrow object corresponding to the current date and time.

import arrow

null_date = None
date = arrow.get(null_date)




In the example above, null_date is set to None, and arrow.get(null_date) returns an Arrow object representing the current date and time.

Handling Different Null Date Values

The arrow.get(null) method can handle different formats of null date values. Here are a few examples:

import arrow

null_date1 = None
null_date2 = ""
null_date3 = "N/A"

date1 = arrow.get(null_date1)
date2 = arrow.get(null_date2)
date3 = arrow.get(null_date3)




In the example above, null_date1 and null_date2 are set to None and an empty string respectively, while null_date3 is set to "N/A". Regardless of the input format, arrow.get(null_date) returns an Arrow object representing the current date and time.

Manipulating Null Dates

Once you have parsed a null date using arrow.get(null), you can perform various operations on it. The Arrow object provides methods to add or subtract durations, change time zones, format the date in a specific way, and much more.

Here's an example that demonstrates some operations on a null date:

import arrow

null_date = None
date = arrow.get(null_date)

one_day_later = date.shift(days=1)
formatted_date = one_day_later.format('YYYY-MM-DD')



+++
A.
{"formula": "C5H12N2S", "method": "ωB97M-V/def2-TZVPD", "species": ["N", "C", "C", "N", "C", "C", "C", "S", "H", "H", "H", "H", "H", "H", "H", "H", "H", "H", "H", "H"], "positions_angstrom": [[-2.0221, -0.1852, -0.9856], [-1.6375, -0.1292, 0.4100], [-0.6320, 0.9527, 0.7537], [-0.1690, 1.8757, -0.2506], [-0.2000, -0.4996, 0.7316], [0.7334, -1.0644, -0.3123], [2.2141, -0.9666, 0.0779], [2.9802, 0.6613, -0.2047], [-2.1684, -1.1556, -1.2628], [-2.8790, 0.3122, -1.1309], [-2.3830, -0.3750, 1.1714], [-0.7066, 1.4350, 1.7291], [-0.6470, 2.7734, -0.1153], [-0.4411, 1.5312, -1.1274], [-0.0808, -0.9135, 1.6845], [0.4986, -2.1643, -0.4375], [0.5740, -0.5878, -1.2911], [2.7875, -1.6821, -0.4781], [2.3178, -1.2202, 1.1595], [1.8609, 1.4020, -0.1213]], "e_homo_ha": -0.306, "spin_multiplicity": 1, "lumo_ev": 0.8}

---

B.
{"formula": "C5H12N2S", "method": "ωB97M-V/def2-TZVPD", "species": ["C", "C", "S", "N", "C", "C", "N", "C", "H", "H", "H", "H", "H", "H", "H", "H", "H", "H", "H", "H"], "positions_angstrom": [[1.9997, 1.5668, -0.0742], [2.4218, 0.1253, 0.1669], [1.5499, -1.0335, -0.9251], [-0.0724, -0.8971, -0.3931], [-0.6104, -1.8299, 0.6478], [-1.0231, -0.2434, -1.3017], [-2.0889, 0.3642, -1.1268], [-2.5597, 0.6252, 0.2060], [2.0630, 1.8628, -1.1293], [0.9452, 1.7253, 0.2199], [2.5872, 2.2382, 0.5738], [3.4608, -0.1653, 0.0358], [2.1241, -0.1780, 1.2137], [0.2481, -2.0027, 1.3245], [-0.8801, -2.7785, 0.1803], [-1.4281, -1.3446, 1.1470], [-0.6180, -0.2666, -2.3236], [-1.7052, 0.7952, 0.8909], [-3.1313, 1.5677, 0.1464], [-3.2825, -0.1311, 0.5207]], "e_homo_ha": -0.320, "spin_multiplicity": 1, "lumo_ev": 0.8}

---

Verdict on stability: A comes out on top.

---

A.
{"formula": "CH4NOP", "method": "ωB97M-V/def2-TZVPD", "species": ["C", "P", "N", "O", "H", "H", "H", "H"], "positions_angstrom": [[-0.8870, 0.9054, -0.0770], [-0.0645, -0.5827, -0.0528], [1.5718, -0.1732, -0.3153], [2.3719, 0.0693, 0.5789], [-0.4618, 1.6521, 0.5760], [-1.9002, 1.0012, -0.3961], [-0.2741, -1.6141, 0.9027], [-0.3561, -1.2580, -1.2163]], "e_homo_ha": [-0.297, -0.297], "spin_multiplicity": 1, "lumo_ev": [-1.2, -1.2]}

---

B.
{"formula": "CH4NOP", "method": "ωB97M-V/def2-TZVPD", "species": ["C", "N", "O", "P", "H", "H", "H", "H"], "positions_angstrom": [[0.6592, -0.4883, -0.4763], [1.7436, -1.1225, -0.4370], [-1.8778, 0.1846, -0.6473], [-0.9214, -0.7585, 0.4230], [0.4341, 0.4308, -1.5081], [2.4946, -0.9879, -1.1317], [-2.3182, 0.9517, -0.2355], [-0.8145, 0.2770, 1.4533]], "e_homo_ha": -0.334, "spin_multiplicity": 1, "lumo_ev": 0.4}

---

Verdict on stability: B comes out on top.

---

A.
+++


In the example above, arrow.get(null_date) returns an Arrow object representing the current date and time. The shift() method is used to add one day to the date, and then the format() method is applied to print the date in the "YYYY-MM-DD" format.


The arrow.get(null) method in Python's Arrow library provides a convenient way to work with null dates. It simplifies parsing, manipulation, and formatting of dates and times, making it easier for programmers to handle various scenarios.